Assignment >
Copy the whole of the data below character by character.

Data >
- - -
one) The following is a DFT calculation (the ωB97M-V functional and the def2-TZVPD basis) of a cluster of 3 separate species, C3H12N2O3 in total.

Bonds (Å) are listed after each position.
CARTESIAN COORDINATES (ANGSTROEM)
1 C 0.17447 1.76889 0.47445  N2 1.341, O6 1.216, H7 1.137
2 N 0.47216 0.58469 1.02816  C1 1.341, C3 1.444, H8 1.070
3 C 1.42641 -0.45960 0.73641  N2 1.444, C4 1.547, H9 1.176, H10 1.204
4 C 0.67812 -1.76977 0.39559  C3 1.547, N5 1.488, H11 1.100, H12 1.112
5 N 1.64121 -2.69514 -0.25974  C4 1.488, H13 1.104, H14 1.022
6 O -0.72529 2.48921 0.86163  C1 1.216
7 H 0.76130 2.05263 -0.45656  C1 1.137
8 H -0.00505 0.52943 1.98380  N2 1.070
9 H 2.00727 -0.84080 1.68494  C3 1.176
10 H 2.34421 -0.09173 0.04912  C3 1.204
11 H 0.34083 -2.17263 1.36222  C4 1.100
12 H -0.22279 -1.58311 -0.22838  C4 1.112
13 H 1.72310 -2.33042 -1.29877  N5 1.104
14 H 2.48927 -2.67740 0.31015  N5 1.022
15 H -1.97707 -0.21380 -2.16193  O17 1.020
16 H -1.32756 0.90390 -1.39569  O17 0.939
17 O -1.06510 0.13849 -1.87187  H15 1.020, H16 0.939
18 H -3.75307 1.99466 -0.53273  O20 0.981
19 H -2.19638 2.33107 0.00853  O20 0.958
20 O -2.78605 2.04143 -0.68935  H18 0.981, H19 0.958

Results
**Net charge**: 0
**Kohn-Sham gap**: 10.0 eV
**M**: 124.14 g mol⁻¹

two) The following is a DFT calculation (the ωB97M-V functional and the def2-TZVPD basis) of a cluster of 3 separate species, C3H12N2O3 in total.

Bonds (Å) are listed after each position.
CARTESIAN COORDINATES (ANGSTROEM)
1 C -1.52407 -0.51076 0.81183  N2 1.340, O6 1.237, H7 1.092
2 N -0.46544 0.15113 0.32544  C1 1.340, C3 1.527, H8 1.004
3 C -0.57990 1.23636 -0.74197  N2 1.527, C4 1.519, H9 1.088, H10 1.080
4 C 0.70253 2.04429 -0.63586  C3 1.519, N5 1.496, H11 1.114, H12 1.067
5 N 0.78822 3.07705 0.44286  C4 1.496, H13 1.056, H14 0.992
6 O -1.22283 -1.42756 1.58581  C1 1.237
7 H -2.54250 -0.26432 0.50264  C1 1.092
8 H 0.49213 -0.12992 0.43341  N2 1.004
9 H -1.51519 1.74945 -0.52883  C3 1.088
10 H -0.80595 0.81569 -1.71116  C3 1.080
11 H 1.63648 1.43873 -0.66929  C4 1.114
12 H 0.73810 2.79450 -1.39421  C4 1.067
13 H -0.16929 3.23431 0.85847  N5 1.056
14 H 1.40760 2.83957 1.18089  N5 0.992
15 H 0.82150 -1.96401 -1.25710  O17 0.960
16 H 1.40199 -2.86783 -0.21431  O17 1.013
17 O 1.61842 -2.01971 -0.72511  H15 0.960, H16 1.013
18 H -0.67064 -3.48872 -0.07180  O20 0.961
19 H -0.19540 -3.11501 1.29467  O20 0.958
20 O 0.08427 -3.59324 0.51360  H18 0.961, H19 0.958

Results
**Net charge**: 0
**Kohn-Sham gap**: 10.1 eV
**M**: 124.14 g mol⁻¹

Most stable to least stable: two), one)

one) The following is a DFT calculation (the ωB97M-V functional and the def2-TZVPD basis) of an isolated molecule of C5H8O3.

Bonds (Å) are listed after each position.
CARTESIAN COORDINATES (ANGSTROEM)
1 C 1.52763 0.01817 -0.45975  C2 1.509, C5 1.498, H7 1.155, O14 1.441
2 C 0.25072 -0.76805 -0.62606  C1 1.509, C5 1.667, H8 1.095, O15 1.456
3 C -1.93536 -0.44060 0.06117  C4 1.600, H9 1.082, H10 1.098, O15 1.540
4 C -0.82379 0.15833 1.04340  C3 1.600, C5 1.634, H11 1.082, H12 1.264
5 C 0.32670 0.75469 0.04886  C1 1.498, C2 1.667, C4 1.634, O16 1.313
6 H 3.49828 -0.68923 -0.51384  O14 1.199
7 H 1.92409 0.50836 -1.42740  C1 1.155
8 H 0.40102 -1.56345 0.11134  C2 1.095
9 H -2.37114 -1.37484 0.38909  C3 1.082
10 H -2.82979 0.09214 -0.28722  C3 1.098
11 H -0.34720 -0.56474 1.69257  C4 1.082
12 H -1.20441 1.00911 1.89658  C4 1.264
13 H 0.17389 2.46140 -0.35650  O16 0.864
14 O 2.63813 -0.49868 0.29953  C1 1.441, H6 1.199
15 O -1.09769 -0.83317 -1.17054  C2 1.456, C3 1.540
16 O -0.13108 1.73056 -0.70121  C5 1.313, H13 0.864

Results
**Net charge**: 0
**Kohn-Sham gap**: 8.3 eV
**M**: 116.12 g mol⁻¹

two) The following is a DFT calculation (the ωB97M-V functional and the def2-TZVPD basis) of an isolated molecule of C5H8O3.

Bonds (Å) are listed after each position.
CARTESIAN COORDINATES (ANGSTROEM)
1 C 1.91910 -0.36692 1.50053  H6 1.105, H7 1.166, H8 1.114, O14 1.471
2 C -0.02007 -0.36844 0.24159  C5 1.564, H9 1.078, O14 1.367, O15 1.458
- - -

Here it is >
one) The following is a DFT calculation (the ωB97M-V functional and the def2-TZVPD basis) of a cluster of 3 separate species, C3H12N2O3 in total.

Bonds (Å) are listed after each position.
CARTESIAN COORDINATES (ANGSTROEM)
1 C 0.17447 1.76889 0.47445  N2 1.341, O6 1.216, H7 1.137
2 N 0.47216 0.58469 1.02816  C1 1.341, C3 1.444, H8 1.070
3 C 1.42641 -0.45960 0.73641  N2 1.444, C4 1.547, H9 1.176, H10 1.204
4 C 0.67812 -1.76977 0.39559  C3 1.547, N5 1.488, H11 1.100, H12 1.112
5 N 1.64121 -2.69514 -0.25974  C4 1.488, H13 1.104, H14 1.022
6 O -0.72529 2.48921 0.86163  C1 1.216
7 H 0.76130 2.05263 -0.45656  C1 1.137
8 H -0.00505 0.52943 1.98380  N2 1.070
9 H 2.00727 -0.84080 1.68494  C3 1.176
10 H 2.34421 -0.09173 0.04912  C3 1.204
11 H 0.34083 -2.17263 1.36222  C4 1.100
12 H -0.22279 -1.58311 -0.22838  C4 1.112
13 H 1.72310 -2.33042 -1.29877  N5 1.104
14 H 2.48927 -2.67740 0.31015  N5 1.022
15 H -1.97707 -0.21380 -2.16193  O17 1.020
16 H -1.32756 0.90390 -1.39569  O17 0.939
17 O -1.06510 0.13849 -1.87187  H15 1.020, H16 0.939
18 H -3.75307 1.99466 -0.53273  O20 0.981
19 H -2.19638 2.33107 0.00853  O20 0.958
20 O -2.78605 2.04143 -0.68935  H18 0.981, H19 0.958

Results
**Net charge**: 0
**Kohn-Sham gap**: 10.0 eV
**M**: 124.14 g mol⁻¹

two) The following is a DFT calculation (the ωB97M-V functional and the def2-TZVPD basis) of a cluster of 3 separate species, C3H12N2O3 in total.

Bonds (Å) are listed after each position.
CARTESIAN COORDINATES (ANGSTROEM)
1 C -1.52407 -0.51076 0.81183  N2 1.340, O6 1.237, H7 1.092
2 N -0.46544 0.15113 0.32544  C1 1.340, C3 1.527, H8 1.004
3 C -0.57990 1.23636 -0.74197  N2 1.527, C4 1.519, H9 1.088, H10 1.080
4 C 0.70253 2.04429 -0.63586  C3 1.519, N5 1.496, H11 1.114, H12 1.067
5 N 0.78822 3.07705 0.44286  C4 1.496, H13 1.056, H14 0.992
6 O -1.22283 -1.42756 1.58581  C1 1.237
7 H -2.54250 -0.26432 0.50264  C1 1.092
8 H 0.49213 -0.12992 0.43341  N2 1.004
9 H -1.51519 1.74945 -0.52883  C3 1.088
10 H -0.80595 0.81569 -1.71116  C3 1.080
11 H 1.63648 1.43873 -0.66929  C4 1.114
12 H 0.73810 2.79450 -1.39421  C4 1.067
13 H -0.16929 3.23431 0.85847  N5 1.056
14 H 1.40760 2.83957 1.18089  N5 0.992
15 H 0.82150 -1.96401 -1.25710  O17 0.960
16 H 1.40199 -2.86783 -0.21431  O17 1.013
17 O 1.61842 -2.01971 -0.72511  H15 0.960, H16 1.013
18 H -0.67064 -3.48872 -0.07180  O20 0.961
19 H -0.19540 -3.11501 1.29467  O20 0.958
20 O 0.08427 -3.59324 0.51360  H18 0.961, H19 0.958

Results
**Net charge**: 0
**Kohn-Sham gap**: 10.1 eV
**M**: 124.14 g mol⁻¹

Most stable to least stable: two), one)

one) The following is a DFT calculation (the ωB97M-V functional and the def2-TZVPD basis) of an isolated molecule of C5H8O3.

Bonds (Å) are listed after each position.
CARTESIAN COORDINATES (ANGSTROEM)
1 C 1.52763 0.01817 -0.45975  C2 1.509, C5 1.498, H7 1.155, O14 1.441
2 C 0.25072 -0.76805 -0.62606  C1 1.509, C5 1.667, H8 1.095, O15 1.456
3 C -1.93536 -0.44060 0.06117  C4 1.600, H9 1.082, H10 1.098, O15 1.540
4 C -0.82379 0.15833 1.04340  C3 1.600, C5 1.634, H11 1.082, H12 1.264
5 C 0.32670 0.75469 0.04886  C1 1.498, C2 1.667, C4 1.634, O16 1.313
6 H 3.49828 -0.68923 -0.51384  O14 1.199
7 H 1.92409 0.50836 -1.42740  C1 1.155
8 H 0.40102 -1.56345 0.11134  C2 1.095
9 H -2.37114 -1.37484 0.38909  C3 1.082
10 H -2.82979 0.09214 -0.28722  C3 1.098
11 H -0.34720 -0.56474 1.69257  C4 1.082
12 H -1.20441 1.00911 1.89658  C4 1.264
13 H 0.17389 2.46140 -0.35650  O16 0.864
14 O 2.63813 -0.49868 0.29953  C1 1.441, H6 1.199
15 O -1.09769 -0.83317 -1.17054  C2 1.456, C3 1.540
16 O -0.13108 1.73056 -0.70121  C5 1.313, H13 0.864

Results
**Net charge**: 0
**Kohn-Sham gap**: 8.3 eV
**M**: 116.12 g mol⁻¹

two) The following is a DFT calculation (the ωB97M-V functional and the def2-TZVPD basis) of an isolated molecule of C5H8O3.

Bonds (Å) are listed after each position.
CARTESIAN COORDINATES (ANGSTROEM)
1 C 1.91910 -0.36692 1.50053  H6 1.105, H7 1.166, H8 1.114, O14 1.471
2 C -0.02007 -0.36844 0.24159  C5 1.564, H9 1.078, O14 1.367, O15 1.458